• File:
____________
{
  "formula": "C20H53N7O8PS2",
  "method": "wB97M-V/def2-TZVPD",
  "elements": ["N", "C", "P", "S", "S", "C", "O", "O", "H", "H", "H", "H", "H", "H", "H", "H", "H", "H", "H", "C", "O", "N", "C", "C", "H", "H", "H", "H", "H", "H", "H", "C", "O", "N", "C", "C", "H", "H", "H", "H", "H", "H", "H", "C", "O", "N", "C", "C", "H", "H", "H", "H", "H", "H", "H", "C", "O", "N", "C", "C", "H", "H", "H", "H", "H", "H", "H", "C", "O", "N", "C", "C", "H", "H", "H", "H", "H", "H", "H", "C", "O", "N", "C", "C", "H", "H", "H", "H", "H", "H", "H"],
  "xyz": [[0.37538, -0.29837, -0.66407], [0.41176, -1.07203, -1.92926], [1.95831, -2.09700, -2.31911], [3.34232, -0.53966, -1.82227], [3.64074, -3.30520, -2.88504], [2.03782, -2.89388, -0.55383], [3.05747, -3.96179, -0.64887], [2.76476, -4.96369, 0.14017], [0.33274, -0.84621, 0.21288], [0.97298, 0.54565, -0.61954], [-0.51000, -1.83088, -1.91682], [0.21869, -0.32628, -2.82841], [1.10374, -3.20809, -2.75724], [1.90749, -1.62580, -3.70414], [2.79645, 0.67366, -2.31378], [4.74154, -2.70467, -2.25368], [2.39313, -2.14263, 0.26982], [0.97260, -3.28540, -0.20590], [1.82970, -5.28687, -0.11652], [5.74866, 0.23912, -4.04524], [4.78787, -0.15488, -4.69330], [7.04316, 0.33303, -4.51042], [8.12887, 0.81070, -3.67909], [7.32825, -0.05841, -5.87526], [5.64212, 0.56125, -2.99663], [8.56844, 1.69722, -4.14532], [8.88593, 0.02511, -3.59935], [7.77449, 1.07026, -2.67782], [6.73070, 0.55716, -6.55426], [7.04671, -1.10707, -6.01087], [8.39041, 0.06978, -6.10016], [-1.48374, 4.27177, 1.35538], [-0.42678, 4.53144, 0.79525], [-1.91960, 3.00878, 1.69573], [-3.18707, 2.78291, 2.35946], [-1.08344, 1.86932, 1.37987], [-2.19388, 5.06505, 1.64017], [-3.00206, 2.28915, 3.31782], [-3.80713, 2.13886, 1.72908], [-3.71305, 3.72493, 2.53680], [-0.11743, 1.98728, 1.87982], [-0.91871, 1.83769, 0.29857], [-1.55684, 0.93998, 1.70762], [5.91523, 1.02577, 0.09273], [5.42863, 2.05542, -0.35604], [5.91788, 0.65467, 1.42059], [6.51598, -0.58411, 1.87418], [5.30251, 1.53144, 2.39522], [6.40796, 0.28920, -0.56254], [5.74714, -1.19145, 2.36052], [7.30854, -0.35278, 2.59180], [6.94167, -1.14603, 1.03840], [4.24887, 1.66936, 2.13473], [5.80291, 2.50407, 2.36492], [5.38120, 1.10793, 3.40003], [-1.02717, -2.79046, 2.02788], [0.02979, -2.53078, 1.46775], [-1.46303, -4.05344, 2.36822], [-2.73050, -4.27931, 3.03195], [-0.62687, -5.19290, 2.05237], [-1.73731, -1.99717, 2.31267], [-2.54548, -4.77307, 3.99032], [-3.35056, -4.92337, 2.40158], [-3.25648, -3.33729, 3.20930], [0.33914, -5.07495, 2.55232], [-0.46214, -5.22454, 0.97107], [-1.10027, -6.12224, 2.38012], [-5.80472, 5.30702, 0.33184], [-5.51111, 4.70220, 1.35475], [-5.52180, 6.63209, 0.07675], [-5.90370, 7.27777, -1.16232], [-4.81944, 7.40515, 1.07994], [-6.34023, 4.81280, -0.49501], [-5.00299, 7.64506, -1.66265], [-6.56499, 8.11880, -0.93423], [-6.42425, 6.58187, -1.82582], [-3.85169, 6.93497, 1.27850], [-5.40632, 7.40649, 2.00347], [-4.66681, 8.43264, 0.73909], [-5.50609, -3.27022, 0.90390], [-4.69871, -2.41164, 1.23452], [-6.87449, -3.17849, 1.04536], [-7.76611, -4.24106, 0.62821], [-7.44053, -1.98059, 1.63011], [-5.18164, -4.22031, 0.44918], [-8.45325, -3.85051, -0.12796], [-8.33475, -4.58741, 1.49616], [-7.20825, -5.08146, 0.20628], [-7.15335, -1.11770, 1.02185], [-7.03542, -1.85113, 2.63831], [-8.53045, -2.05159, 1.67747]],
____________

• To do:
Set down only the lines further above with the word "C20H53N7O8PS2" in them, please.

• Response:
  "formula": "C20H53N7O8PS2",